### Work order
Work out how many lines further below have the word "functional" in them; a number is enough.
### Given
+++
Density functional theory data (PBE-GGA) for a relaxed PmAl4Pt2Rh crystal.

Unit cell a=4.2604 b=4.2604 c=9.2334 alpha=76.66 beta=76.66 gamma=60.00
Positions (direct):
Pm 0.0000 0.0000 0.0000
Al 0.4041 0.4041 0.7877
Al 0.8665 0.8665 0.4004
Al 0.1335 0.1335 0.5996
Al 0.5959 0.5959 0.2123
Pt 0.7668 0.7668 0.6997
Pt 0.2332 0.2332 0.3003
Rh 0.5000 0.5000 0.5000

Properties
calculated formation energy = -0.948 eV/atom

***

Density functional theory data (PBE-GGA) for a relaxed Pm2AlSbPt6 crystal.

Unit cell a=6.6381 b=6.5997 c=6.6415 alpha=87.35 beta=49.16 gamma=107.50
Positions (direct):
Pm 0.2481 0.7492 0.4999
Pm 0.7519 0.2508 0.5001
Al 0.5000 0.5000 0.0000
Sb 0.0000 0.0000 0.0000
Pt 0.1922 0.6772 0.0099
Pt 0.7386 0.9162 0.8257
Pt 0.3114 0.3217 0.4853
Pt 0.8078 0.3228 0.9901
Pt 0.2614 0.0838 0.1743
Pt 0.6886 0.6783 0.5147

***

Density functional theory data (PBE-GGA) for a relaxed PmScAlPt2 crystal.

Unit cell a=4.1552 b=4.1552 c=6.6929 alpha=108.08 beta=108.08 gamma=90.00
Positions (direct):
Pm 0.0000 0.0000 0.0000
Sc 0.2500 0.7500 0.5000
Al 0.7500 0.2500 0.5000
Pt 0.6131 0.6131 0.2261
Pt 0.3869 0.3869 0.7739

Properties
calculated formation energy = -1.095 eV/atom

***

Density functional theory data (PBE-GGA) for a relaxed Pm2ScAl3Pt4 crystal.

Unit cell a=4.3115 b=4.3115 c=10.6980 alpha=90.00 beta=90.00 gamma=90.00
Positions (direct):
Pm 0.5000 0.0000 0.2354
Pm 0.0000 0.5000 0.7646
Sc 0.5000 0.5000 0.5000
Al 0.0000 0.0000 0.5000
Al 0.5000 0.0000 0.8784
Al 0.0000 0.5000 0.1216
Pt 0.5000 0.5000 0.0000
Pt 0.0000 0.0000 0.0000
Pt 0.5000 0.0000 0.6453
Pt 0.0000 0.5000 0.3547

Properties
calculated formation energy = -1.102 eV/atom

***

Density functional theory data (PBE-GGA) for a relaxed Pm2ScAl2Pt5 crystal.

Unit cell a=3.6799 b=10.1359 c=10.1359 alpha=90.00 beta=90.00 gamma=90.00
Positions (direct):
Pm 0.0000 0.6768 0.1768
Pm 0.0000 0.3232 0.8232
Pm 0.0000 0.1768 0.3232
Pm 0.0000 0.8232 0.6768
Sc 0.0000 0.0000 0.0000
Sc 0.0000 0.5000 0.5000
Al 0.0000 0.1217 0.6217
Al 0.0000 0.8783 0.3783
Al 0.0000 0.6217 0.8783
Al 0.0000 0.3783 0.1217
Pt 0.5000 0.2091 0.0626
Pt 0.5000 0.7909 0.9374
Pt 0.5000 0.0626 0.7909
Pt 0.5000 0.7091 0.4374
Pt 0.5000 0.9374 0.2091
Pt 0.5000 0.2909 0.5626
Pt 0.5000 0.5626 0.7091
Pt 0.5000 0.4374 0.2909
Pt 0.5000 0.5000 0.0000
Pt 0.5000 0.0000 0.5000

Properties
calculated formation energy = -1.069 eV/atom

***

Density functional theory data (PBE-GGA) for a relaxed Pm2AlSi4Pt3 crystal.

Unit cell a=4.1825 b=4.1825 c=10.2468 alpha=90.00 beta=90.00 gamma=90.00
Positions (direct):
Pm 0.5000 0.0000 0.2448
Pm 0.0000 0.5000 0.7552
Al 0.5000 0.5000 0.5000
Si 0.5000 0.5000 0.0000
Si 0.0000 0.0000 0.0000
Si 0.5000 0.0000 0.6430
Si 0.0000 0.5000 0.3570
Pt 0.0000 0.0000 0.5000
Pt 0.5000 0.0000 0.8787
Pt 0.0000 0.5000 0.1213

***

Density functional theory data (PBE-GGA) for a relaxed Pm2Al3SiPt4 crystal.

Unit cell a=4.2791 b=4.2791 c=10.2289 alpha=90.00 beta=90.00 gamma=90.00
Positions (direct):
Pm 0.5000 0.0000 0.2562
Pm 0.0000 0.5000 0.7438
Al 0.0000 0.0000 0.5000
Al 0.5000 0.0000 0.8695
Al 0.0000 0.5000 0.1305
Si 0.5000 0.5000 0.5000
Pt 0.5000 0.5000 0.0000
Pt 0.0000 0.0000 0.0000
Pt 0.5000 0.0000 0.6262
Pt 0.0000 0.5000 0.3738

***

Density functional theory data (PBE-GGA) for a relaxed PmAlSiPt2 crystal.

Unit cell a=4.2228 b=4.2228 c=6.0457 alpha=110.44 beta=110.44 gamma=90.00
Positions (direct):
Pm 0.0000 0.0000 0.0000
Al 0.2500 0.7500 0.5000
Si 0.7500 0.2500 0.5000
Pt 0.6282 0.6282 0.2565
Pt 0.3718 0.3718 0.7435

***

Density functional theory data (PBE-GGA) for a relaxed Pm3Al2SiPt9 crystal.

Unit cell a=6.5965 b=6.5965 c=8.3420 alpha=90.00 beta=90.00 gamma=120.00
Positions (direct):
Pm 0.3333 0.6667 0.7035
Pm 0.0000 0.0000 0.0000
Pm 0.6667 0.3333 0.2965
Al 0.3333 0.6667 0.1942
Al 0.6667 0.3333 0.8058
Si 0.0000 0.0000 0.5000
Pt 0.8599 0.1401 0.7107
Pt 0.8599 0.7199 0.7107
Pt 0.2801 0.1401 0.7107
Pt 0.7199 0.8599 0.2893
Pt 0.1401 0.2801 0.2893
Pt 0.1401 0.8599 0.2893
Pt 0.5000 0.0000 0.0000
+++
### Here it is
9